== Source ==
-- begin --
--- 1 ---
This record from the OMol25 dataset describes 2 unconnected molecules or ions with the total composition C14H16O. The level of theory is wB97M-V/def2-TZVPD.

Structure (XYZ):
```
31
C14H16O, DFT wB97M-V/def2-TZVPD
C 1.93 2.99 1.03
C 0.78 2.70 0.16
C 0.53 3.48 -0.98
C -0.55 3.24 -1.73
C -1.39 2.12 -1.54
O -2.48 1.82 -2.24
C -1.21 1.31 -0.42
C -0.03 1.55 0.39
H 1.71 3.96 1.41
H 2.64 3.33 0.33
H 2.29 2.31 1.81
H 1.32 4.17 -1.21
H -0.71 3.72 -2.66
H -3.21 2.40 -2.25
H -1.88 0.49 -0.19
H -0.17 0.77 1.23
C 1.30 -2.77 2.28
C 0.49 -2.71 1.06
C 0.49 -1.58 0.16
C -0.45 -1.51 -0.92
C -1.11 -2.63 -1.20
C -1.10 -3.77 -0.41
C -0.31 -3.80 0.68
H 1.93 -3.69 2.35
H 0.41 -2.65 3.08
H 1.90 -1.98 2.52
H 1.24 -0.82 0.36
H -0.45 -0.59 -1.57
H -1.87 -2.53 -2.12
H -1.80 -4.59 -0.61
H -0.24 -4.76 1.23
```

Properties
LUMO: 0.82 eV
Orbital gap: 9.2 eV
2S+1: 1
SMILES string: Cc1ccc(O)cc1.Cc1ccccc1

--- 2 ---
This record from the OMol25 dataset describes 2 unconnected molecules or ions with the total composition C14H16O. The level of theory is wB97M-V/def2-TZVPD.

Structure (XYZ):
```
31
C14H16O, DFT wB97M-V/def2-TZVPD
C 0.51 2.52 -1.30
C 0.80 1.33 -2.18
C 0.41 0.09 -1.67
C 0.42 -1.02 -2.51
C 0.87 -0.91 -3.80
O 0.59 -1.77 -4.86
C 1.41 0.30 -4.30
C 1.37 1.39 -3.45
H 0.75 3.39 -1.90
H 1.07 2.48 -0.35
H -0.56 2.59 -1.01
H -0.19 0.02 -0.78
H 0.10 -1.91 -1.98
H 0.77 -2.70 -4.69
H 1.80 0.34 -5.30
H 1.85 2.31 -3.74
C -1.73 1.22 3.78
C -1.01 -0.02 3.24
C 0.02 0.21 2.34
C 0.48 -0.96 1.66
C -0.01 -2.18 2.02
C -0.93 -2.39 3.05
C -1.62 -1.25 3.46
H -2.65 1.49 3.26
H -1.04 2.06 3.90
H -2.29 0.99 4.72
H 0.70 1.04 2.30
H 1.48 -0.91 1.24
H 0.26 -3.08 1.48
H -1.19 -3.41 3.24
H -2.47 -1.23 4.13
```

Properties
LUMO: 0.86 eV
Orbital gap: 9.2 eV
2S+1: 1
SMILES string: Cc1ccc(O)cc1.Cc1ccccc1

--- 3 ---
This record from the OMol25 dataset describes 2 unconnected molecules or ions with the total composition C14H16O. The level of theory is wB97M-V/def2-TZVPD.

Structure (XYZ):
```
31
C14H16O, DFT wB97M-V/def2-TZVPD
C 0.61 -4.40 2.48
C 0.95 -2.89 2.19
C 0.25 -2.30 1.14
C 0.51 -0.98 0.76
C 1.54 -0.29 1.41
O 1.67 1.06 1.29
C 2.14 -0.86 2.56
C 1.87 -2.19 2.91
H 1.45 -5.01 2.17
H -0.42 -4.58 2.27
H 0.60 -4.39 3.58
H -0.32 -2.96 0.50
H 0.04 -0.56 -0.13
H 0.94 1.54 0.89
H 2.86 -0.29 3.13
H 2.11 -2.20 3.97
C 0.43 1.43 -3.59
C -0.66 1.81 -2.59
C -2.01 1.58 -2.78
C -2.91 2.05 -1.85
C -2.56 2.70 -0.67
C -1.18 2.96 -0.47
C -0.27 2.46 -1.42
H 1.07 2.27 -3.83
H -0.10 0.94 -4.38
H 1.02 0.66 -3.10
H -2.37 1.35 -3.77
H -3.98 1.84 -1.88
H -3.17 2.94 0.19
H -0.86 3.80 0.12
H 0.74 2.50 -1.09
```

Properties
LUMO: 0.83 eV
Orbital gap: 9.1 eV
2S+1: 1
SMILES string: Cc1ccc(O)cc1.Cc1ccccc1

Result of the stability comparison: 2 is the most stable of them.

--- 1 ---
This record from the OMol25 dataset describes a gas-phase ion, C5H11NO2 (charge -2). The level of theory is wB97M-V/def2-TZVPD.

Structure (XYZ):
```
19
C5H11NO2, DFT wB97M-V/def2-TZVPD
N 0.47 -0.35 -2.20
C 0.22 0.43 -0.98
C -0.25 1.91 -1.51
O 0.76 2.42 -2.25
C -0.68 -0.24 0.05
C 0.04 -0.57 1.37
C -0.52 -1.80 2.24
O -0.04 -1.74 3.49
H 1.46 -0.50 -2.30
H 0.05 0.18 -2.95
H 1.15 0.77 -0.51
H -0.65 2.57 -0.71
H -1.18 1.79 -2.17
H -1.59 0.32 0.32
H -0.90 -1.27 -0.31
H 1.12 -0.80 1.40
H -0.05 0.22 2.13
H -0.25 -2.76 1.78
H -1.69 -1.67 2.20
```

Properties
LUMO: 7.08 eV
Orbital gap: 6.5 eV
2S+1: 1
SMILES string: N[C@@H](C[O-])CCC[O-]
Charge: -2

--- 2 ---
This record from the OMol25 dataset describes a gas-phase ion, C5H11NO2 (charge -2). The level of theory is wB97M-V/def2-TZVPD.

Structure (XYZ):
```
19
C5H11NO2, DFT wB97M-V/def2-TZVPD
N 1.39 1.54 -0.23
C 1.05 0.26 0.39
C 1.46 0.23 1.94
O 2.63 0.91 2.11
C -0.43 -0.07 0.29
C -0.93 -0.87 -0.95
C -2.37 -0.60 -1.41
O -2.79 -1.56 -2.29
H 2.34 1.67 0.15
H 0.99 2.37 0.22
H 1.66 -0.45 -0.15
H 1.68 -0.86 2.11
H 0.64 0.58 2.60
H -0.77 -0.63 1.18
H -1.03 0.84 0.26
H -0.22 -0.67 -1.76
H -0.80 -1.95 -0.75
H -2.52 0.41 -1.89
H -3.08 -0.53 -0.52
```

Properties
LUMO: 7.00 eV
Orbital gap: 6.4 eV
-- stop --

== Wanted ==
It remains to say how many lines of the rows further above hold the word "def2-TZVPD", as a bare number.

== Here it is ==
10